A Dundee nursery has been criticised for not carrying out staff safety checks.
The Courier has taken a closer look at the most recent Care Inspectorate reports for Tayside, Fife and Stirling.
The organisation is the watchdog for the care industry and inspects providers such as care homes and childcare services to ensure they meet required standards.
The watchdog grades services on key areas including wellbeing, leadership and staffing on a six-point scale where 1 is unsatisfactory and 6 is excellent.
Some reports were only published weeks after the inspections took place.
Roseangle House, Dundee
Previous ratings
- Care play and learning – 4
- Setting – 4
- Leadership – 3
- Staff – 4
New ratings
- Care play and learning – 3
- Setting – 3
- Leadership – 3
- Staff – 3
Inspection Date
January 25
Despite inspectors saying children enjoyed their time at the Dundee nursery, they raised some concerns.
Officials said staff knowledge of child protection and procedure was “mixed”.
Not all staff were confident in who to contact and the procedures to follow if the nursery child protection officers were not available.
Additionally, safety checks had not been carried out for all staff before they had started working in the service.
While training had been undertaken already, the Care Inspectorate said refresher training to develop staff knowledge and understanding was required.
Inspectors also said the service had a mostly new staff team due to recent high staff turnover.
No 76, Kirkclady
Previous ratings
- Rights and well-being – 3
New ratings
- Rights and well-being – 3
Inspection Date
January 17
Inspectors said the strengths at the residential service “only just” outweighed the weaknesses.
They said there was no clear training log to identify when staff had undertaken safeguarding training.
Additionally, during their visit they found some incomplete care plans.
Despite this, the inspectors said young people were encouraged to learn and had a good relationship with staff.
The Care Inspectorate issued two requirements.
Rainbow Bright Childcare, Dundee
Previous ratings
- Care play and learning – 1
Inserted here: data records =
/*
Entry 1:
{"formula": "C2H8N4", "method": "the ωB97M-V functional and the def2-TZVPD basis", "elements": ["C", "C", "N", "N", "N", "N", "H", "H", "H", "H", "H", "H", "H", "H"], "xyz": [[0.51276, 1.37176, 0.19797], [-0.29226, 0.10604, 0.10065], [0.33899, -1.06807, 0.58943], [1.36757, -1.50328, -0.28913], [-1.30480, -0.06980, -0.94118], [-1.67063, -0.03453, 0.46829], [1.43978, 1.21982, -0.35161], [-0.03740, 2.22708, -0.19398], [0.77093, 1.55744, 1.23858], [-0.61423, -1.61632, 0.75390], [2.10625, -1.95429, 0.24028], [1.01151, -1.87756, -1.16912], [-1.51651, 0.80845, -1.41808], [-2.11195, 0.83326, 0.77403]], "forces_ev_per_angstrom": [[-0.303, -0.149, 0.059], [-0.365, 0.510, 0.468], [-1.801, -0.794, -0.126], [-0.770, 0.454, 0.448], [0.396, -0.458, -0.888], [-0.711, 0.926, 0.918], [-0.005, 0.117, -0.097], [0.082, 0.024, -0.079], [0.004, 0.010, 0.066], [3.054, -0.082, -0.608], [-0.458, -0.294, -0.681], [0.513, -0.408, 0.580], [0.167, 0.053, 0.325], [0.196, 0.091, -0.387]], "e_homo_ev": -8.8, "e_tot_ha": -299.90964, "smiles": "CC1(NN)NN1", "e_lumo_ev": 1.1, "homo_lumo_gap_ev": 9.86, "charge": 0}

Entry 2:
{"formula": "C6H14NO", "method": "the ωB97M-V functional and the def2-TZVPD basis", "elements": ["C", "C", "C", "C", "C", "N", "C", "O", "H", "H", "H", "H", "H", "H", "H", "H", "H", "H", "H", "H", "H", "H"], "xyz": [[-1.24241, -2.75140, -0.49004], [-0.59870, -1.54216, -1.20149], [-0.93477, -0.21738, -0.50129], [-0.02045, 0.08324, 0.68566], [1.03870, 1.12870, 0.31227], [0.37042, 2.46166, 0.08603], [2.05873, 1.33457, 1.39048], [2.11450, 2.36423, 2.00613], [-1.33661, -2.68261, 0.59357], [-2.21702, -2.95253, -0.93137], [-0.65412, -3.65040, -0.69446], [0.47344, -1.64769, -1.33385], [-1.14589, -1.51164, -2.14381], [-0.88812, 0.56076, -1.28229], [-1.98323, -0.15346, -0.22203], [-0.52476, 0.47491, 1.57267], [0.48730, -0.81475, 1.02975], [1.53305, 0.76719, -0.58798], [0.88124, 3.12609, 0.69414], [0.46304, 2.73393, -0.84893], [-0.61657, 2.39856, 0.29980], [2.74223, 0.49017, 1.56704]], "forces_ev_per_angstrom": [[0.650, -0.524, -0.293], [-1.678, -0.035, 0.625], [-0.048, 0.246, -0.610], [0.203, 0.540, 0.279], [-0.367, -0.698, -0.094], [0.659, -0.911, 1.137], [0.355, -0.073, 0.249], [0.012, 0.139, -0.062], [0.021, 0.221, 0.015], [-0.145, 0.148, 0.267], [-0.037, 0.047, 0.076], [0.107, -0.017, -0.202], [0.740, 0.093, -0.409], [0.374, 0.132, 0.267], [-0.133, -0.472, 0.265], [-0.304, -0.078, -0.021], [0.070, -0.173, -0.062], [0.074, 0.383, -0.256], [-0.318, 0.091, 0.280], [0.124, 0.703, -1.882], [-0.305, 0.222, 0.294], [-0.054, 0.014, 0.136]], "e_homo_ev": -15.0, "e_tot_ha": -366.74113, "smiles": "CCCC[C@@H]([NH3+])C=O", "e_lumo_ev": -3.5, "homo_lumo_gap_ev": 11.45, "charge": 1}

Entry 3:
*/
Here the article continues =
- Setting – 1
- Leadership – 2
- Staff – 2
Inspection Date
February 6
Rainbow Bright Childcare on Camperdown Road was previously issued an improvement notice after inspectors raised several concerns in 2024.
The included the “welfare, health, and safety of children”.
A report at the time said staff “did not have the skills to meet children’s needs”.
Inspectors revisited the nursery in February to follow up on the remaining requirements from the previous inspection.
They found the service has since met the outstanding requirements.
The report said: “Mandatory training had been completed with all staff.
“They were supported by management to ensure their knowledge and skills were improving through training, professional discussions, supervision and monitoring.”
Other recent reports published by the Care Inspectorate are listed below (clicking will download a PDF):
- Westerlands, Stirling
- Carr Gomm Support Services, Dundee
- Perth Homecare Services
- Weavers Burn
- Cowdenbeath Housing Support Service
- Rivendell Care Service, Dunkeld
- Stacey Paterson Childminding, Stirling
- Balmerino Primary School Nursery
- Ilene Park, Cowdenbeath
- 18 West Park, Montrose
You can find the full inspection reports on the Care Inspectorate website.
You can compare and monitor care home performance using The Courier’s care home tracker.